Install Asterisk on Ubuntu 16.04

Install Asterisk on Ubuntu 16.04

There are two basic ways of installing Asterisk on Ubuntu. The first method is to download the software from Once downloaded on to the machine it will need to be built and installed. The second method is to download the software from Ubuntu’s repository. This is the method that this lesson will take to install Asterisk.

Installing Asterisk

Before installing any software, it is a good idea to have an up-to-date server. First the repository information needs to be updated to inform the operating system of new software changes. To do this use the command:
sudo apt update

Now that the operating system is aware of any changes available from the repository, it is time to apply the changes and upgrade any out-of-date software. To do this use the command:
sudo apt upgrade

After the operating system is up-to-date it is now time to install Asterisk. This can be done with a single command. This will install Asterisk and any dependencies it needs to run on Ubuntu. To do this use the command:
sudo apt install asterisk

Upgrading Asterisk

At the time of writing this lesson, the repository installs an early version of Asterisk 13.1.  An alternative to this would be to update Asterisk to the latest release of version 13. To do this, it can be installed from a ppa. To add the ppa use the following command:
sudo add-apt-repository ppa:alcacoop/asterisk

What comes next are data records, not part of the text:
+++
[1]
# Na2Zn3GeS6O24 PBE relaxed
# Energy of formation from the pure elements, eV per atom: -1.90
# Magnetization, μB per atom: 0.000
# Crystal system: trigonal
data_Na2Zn3GeS6O24
_chemical_formula_sum 'Na6 Zn9 Ge3 S18 O72'
_symmetry_space_group_name_H-M 'P 3'
_symmetry_Int_Tables_number 143
_cell_length_a 8.6460
_cell_length_b 8.6460
_cell_length_c 22.4866
_cell_angle_alpha 90.00
_cell_angle_beta 90.00
_cell_angle_gamma 120.00
loop_
_symmetry_equiv_pos_as_xyz
'x,y,z'
'-y,x-y,z'
'-x+y,-x,z'
loop_
_atom_site_label
_atom_site_type_symbol
_atom_site_fract_x
_atom_site_fract_y
_atom_site_fract_z
Na1 Na 0.0000 0.0000 0.0000
Na2 Na 0.0000 0.0000 0.4872
Na3 Na 0.3333 0.6667 0.1630
Na4 Na 0.3333 0.6667 0.6571
Na5 Na 0.6667 0.3333 0.3305
Na6 Na 0.6667 0.3333 0.8295
Zn1 Zn 0.0000 0.0000 0.1470
Zn2 Zn 0.0000 0.0000 0.3428
Zn3 Zn 0.0000 0.0000 0.6404
Zn4 Zn 0.3333 0.6667 0.0139
Zn5 Zn 0.3333 0.6667 0.3122
Zn6 Zn 0.3333 0.6667 0.5031
Zn7 Zn 0.3333 0.6667 0.8119
Zn8 Zn 0.6667 0.3333 0.4705
Zn9 Zn 0.6667 0.3333 0.9772
Ge1 Ge 0.0000 0.0000 0.8440
Ge2 Ge 0.6667 0.3333 0.1782
Ge3 Ge 0.6667 0.3333 0.6719
S1 S 0.0374 0.3681 0.4099
S2 S 0.0369 0.6721 0.9072
S3 S 0.2962 0.0056 0.7427
S4 S 0.3040 0.2984 0.2404
S5 S 0.3770 0.0436 0.0777
S6 S 0.3776 0.3351 0.5779
O1 O 0.0194 0.1884 0.4051
O2 O 0.0204 0.2082 0.6904
O3 O 0.0195 0.8007 0.1859
O4 O 0.0236 0.8446 0.9005
O5 O 0.1167 0.6482 0.8527
O6 O 0.1215 0.4761 0.3563
O7 O 0.1338 0.4981 0.0748
O8 O 0.1360 0.6390 0.5764
O9 O 0.1396 0.4465 0.4659
O10 O 0.1454 0.7061 0.9612
O11 O 0.1476 0.6664 0.2462
O12 O 0.1504 0.4693 0.7507
O13 O 0.2003 0.0275 0.0848
O14 O 0.2017 0.1711 0.5859
O15 O 0.2163 0.0407 0.7988
O16 O 0.2291 0.1886 0.2940
O17 O 0.4568 0.1486 0.0235
O18 O 0.4648 0.3104 0.5267
O19 O 0.4792 0.1745 0.7382
O20 O 0.4814 0.3351 0.9128
O21 O 0.4887 0.3114 0.2338
O22 O 0.4920 0.3689 0.6368
O23 O 0.4934 0.1425 0.4139
O24 O 0.4936 0.1300 0.1327

[2]
# Na6Zn7GeS12O48 PBE relaxed
# Energy of formation from the pure elements, eV per atom: -1.94
# Magnetization, μB per atom: 0.000
# Crystal system: triclinic
data_Na6Zn7GeS12O48
_chemical_formula_sum 'Na18 Zn21 Ge3 S36 O144'
_symmetry_space_group_name_H-M 'P 1'
_symmetry_Int_Tables_number 1
_cell_length_a 8.709
_cell_length_b 15.093
_cell_length_c 22.447
_cell_angle_alpha 89.99
_cell_angle_beta 89.97
_cell_angle_gamma 89.99
loop_
_symmetry_equiv_pos_as_xyz
'x,y,z'
loop_
_atom_site_label
_atom_site_type_symbol
_atom_site_fract_x
_atom_site_fract_y
_atom_site_fract_z
Na1 Na 0.000 0.000 0.000
Na2 Na 0.001 0.338 0.331
Na3 Na 0.005 0.007 0.501
Na4 Na 0.007 0.663 0.667
Na5 Na 0.011 0.336 0.833
Na6 Na 0.022 0.666 0.164
Na7 Na 0.149 0.836 0.583
Na8 Na 0.329 0.351 0.416
Na9 Na 0.330 0.016 0.082
Na10 Na 0.375 0.337 0.084
Na11 Na 0.506 0.838 0.336
Na12 Na 0.507 0.163 0.667
Na13 Na 0.512 0.835 0.833
Na14 Na 0.514 0.515 0.499
Na15 Na 0.516 0.510 0.002
Na16 Na 0.523 0.171 0.170
Na17 Na 0.649 0.336 0.583
Na18 Na 0.693 0.683 0.250
Zn1 Zn 0.005 0.001 0.149
Zn2 Zn 0.006 0.337 0.485
+++
The text goes on:

The operating system will again need to be made aware of any available software updates. Use the command:
sudo apt update

Now to upgrade the software run the upgrade command again and it will install the updated Asterisk 13. Use the command:
sudo apt upgrade

Fixing known issues

To check on the status of Asterisk use the command:
sudo service asterisk status

In an earlier version, version 13 there was an issue running a module called In order to get this version to work properly in Ubuntu the line “noload =>” (do not include quotes) must be added to the /etc/asterisk/modules.conf file.

Some of the newer versions appear to be an issue with locating the radiusclient.conf file. Asterisk is looking for it in the /etc/radiusclient-ng folder, when it is actually in the /etc/raidiusclient folder. This can be easliy remedied by create a soft link between the two. First create a folder named radiusclient-ng using the command:
sudo mkdir /etc/radiusclient-ng

And now create a soft link for the radiusclient.conf file. Use the command:
sudo ln -s /etc/radiusclient/radiusclient.conf /etc/radiusclient-ng/radiusclient.conf

To restart Asterisk use the command:
sudo service asterisk restart

Logging into Asterisk’s Command Line Interface

To login to the CLI interface of Asterisk use the command:
sudo asterisk -rvvv

To exit out of the CLI console interface use the command: